Material:
+++
No. 1
DFT (PBE-GGA) results for SmPu2F11 after structural relaxation.

Properties
- ρ (Mg/m³) = 5.782
- SG = Ibam (72)
- E_form (uncorrected) (eV per atom) = -3.63

abc: 8.696 8.696 8.696
angles: 121.84 107.27 100.12
Positions (direct):
Sm 0.250 0.250 0.000
Sm 0.750 0.750 0.000
Pu 0.180 0.653 0.833
Pu 0.320 0.153 0.473
Pu 0.680 0.847 0.527
Pu 0.820 0.347 0.167
F 0.000 0.500 0.500
F 0.041 0.947 0.268
F 0.067 0.356 0.152
F 0.179 0.447 0.907
F 0.204 0.915 0.848
F 0.213 0.368 0.581
F 0.287 0.868 0.154
F 0.296 0.144 0.712
F 0.321 0.228 0.268
F 0.433 0.585 0.288
F 0.459 0.728 0.907
F 0.500 0.000 0.500
F 0.541 0.272 0.093
F 0.567 0.415 0.712
F 0.679 0.772 0.732
F 0.704 0.856 0.288
F 0.713 0.132 0.846
F 0.787 0.632 0.419
F 0.796 0.085 0.152
F 0.821 0.553 0.093
F 0.933 0.644 0.848
F 0.959 0.053 0.732

***

No. 2
DFT (PBE-GGA) results for Pu2SnF after structural relaxation.

Properties
- ρ (Mg/m³) = 12.874
- SG = R-3m (166)
- E_form (uncorrected) (eV per atom) = -0.32

abc: 4.221 4.221 15.690
angles: 90.00 90.00 120.00
Positions (direct):
Pu 0.000 0.000 0.192
Pu 0.000 0.000 0.808
Pu 0.333 0.667 0.475
Pu 0.333 0.667 0.859
Pu 0.667 0.333 0.141
Pu 0.667 0.333 0.525
Sn 0.000 0.000 0.000
Sn 0.333 0.667 0.667
Sn 0.667 0.333 0.333
F 0.000 0.000 0.500
F 0.333 0.667 0.167
F 0.667 0.333 0.833

***

No. 3
DFT (PBE-GGA) results for Pu2SnF8 after structural relaxation.

Properties
- ρ (Mg/m³) = 7.813
- SG = C2/m (12)
- E_form (uncorrected) (eV per atom) = -3.21

abc: 7.846 7.846 5.795
angles: 109.61 109.61 28.80
Positions (direct):
Pu 0.177 0.177 0.184
Pu 0.823 0.823 0.816
Sn 0.500 0.500 0.500
F 0.042 0.042 0.300
F 0.216 0.216 0.825
F 0.319 0.319 0.541
F 0.400 0.400 0.048
F 0.600 0.600 0.952
F 0.681 0.681 0.459
F 0.784 0.784 0.175
F 0.958 0.958 0.700

***

No. 4
DFT (PBE-GGA) results for Pu2SnF after structural relaxation.

Properties
- ρ (Mg/m³) = 11.839
- SG = P4/mmm (123)
- E_form (uncorrected) (eV per atom) = -1.02

abc: 3.249 3.249 8.313
angles: 90.00 90.00 90.00
Positions (direct):
Pu 0.000 0.000 0.220
Pu 0.000 0.000 0.780
Sn 0.500 0.500 0.500
F 0.500 0.500 0.000

***

no.,VASP energy (eV per cell)
1,-209.5
2,-107.4
3,-82.9
4,-38.6

~~~~~

VASP calculation (PBE+U) on a relaxed structure of TaMnTlO6.

The calculation puts the magnetization at 3.01 μB/f.u. The value obtained for the total energy is -7.38 eV per atom. The calculated volume is 218.57 Å³/cell. As for the crystal system: tetragonal.

The space group is P4_2nm (No. 102) and the conventional cell measures 4.808, 4.808 and 9.457 Å, with angles of 90.00, 90.00 and 90.00 degrees. Symmetry generates all atoms from Ta at (0.000, 0.000, 0.000), Mn at (0.000, 0.000, 0.662), Tl at (0.000, 0.000, 0.330), O at (0.174, 0.174, 0.825), O at (0.204, 0.204, 0.516) and O at (0.216, 0.216, 0.141).
+++

Activity:
Give back the part of the lines above that starts with the line with "0.179 0.447" and stops after the one with "1,-209.5", please.

Reply:
F 0.179 0.447 0.907
F 0.204 0.915 0.848
F 0.213 0.368 0.581
F 0.287 0.868 0.154
F 0.296 0.144 0.712
F 0.321 0.228 0.268
F 0.433 0.585 0.288
F 0.459 0.728 0.907
F 0.500 0.000 0.500
F 0.541 0.272 0.093
F 0.567 0.415 0.712
F 0.679 0.772 0.732
F 0.704 0.856 0.288
F 0.713 0.132 0.846
F 0.787 0.632 0.419
F 0.796 0.085 0.152
F 0.821 0.553 0.093
F 0.933 0.644 0.848
F 0.959 0.053 0.732

***

No. 2
DFT (PBE-GGA) results for Pu2SnF after structural relaxation.

Properties
- ρ (Mg/m³) = 12.874
- SG = R-3m (166)
- E_form (uncorrected) (eV per atom) = -0.32

abc: 4.221 4.221 15.690
angles: 90.00 90.00 120.00
Positions (direct):
Pu 0.000 0.000 0.192
Pu 0.000 0.000 0.808
Pu 0.333 0.667 0.475
Pu 0.333 0.667 0.859
Pu 0.667 0.333 0.141
Pu 0.667 0.333 0.525
Sn 0.000 0.000 0.000
Sn 0.333 0.667 0.667
Sn 0.667 0.333 0.333
F 0.000 0.000 0.500
F 0.333 0.667 0.167
F 0.667 0.333 0.833

***

No. 3
DFT (PBE-GGA) results for Pu2SnF8 after structural relaxation.

Properties
- ρ (Mg/m³) = 7.813
- SG = C2/m (12)
- E_form (uncorrected) (eV per atom) = -3.21

abc: 7.846 7.846 5.795
angles: 109.61 109.61 28.80
Positions (direct):
Pu 0.177 0.177 0.184
Pu 0.823 0.823 0.816
Sn 0.500 0.500 0.500
F 0.042 0.042 0.300
F 0.216 0.216 0.825
F 0.319 0.319 0.541
F 0.400 0.400 0.048
F 0.600 0.600 0.952
F 0.681 0.681 0.459
F 0.784 0.784 0.175
F 0.958 0.958 0.700

***

No. 4
DFT (PBE-GGA) results for Pu2SnF after structural relaxation.

Properties
- ρ (Mg/m³) = 11.839
- SG = P4/mmm (123)
- E_form (uncorrected) (eV per atom) = -1.02

abc: 3.249 3.249 8.313
angles: 90.00 90.00 90.00
Positions (direct):
Pu 0.000 0.000 0.220
Pu 0.000 0.000 0.780
Sn 0.500 0.500 0.500
F 0.500 0.500 0.000

***

no.,VASP energy (eV per cell)
1,-209.5